Work order:
Next, type out all of the material below with every line break kept.

Contents:
=====
{
  "formula": "C21H31EuO4",
  "method": "ωB97M-V/def2-TZVPD",
  "total_charge": -1,
  "s2": 15.76,
  "multiplicity": 8,
  "e_above_lowest_kcal_mol": 2.37,
  "largest_force_ev_per_a": 4.87,
  "species": ["O", "C", "C", "H", "H", "C", "H", "H", "C", "H", "H", "H", "C", "H", "H", "H", "Eu", "C", "C", "C", "H", "C", "C", "H", "H", "H", "H", "C", "C", "C", "H", "C", "C", "H", "H", "H", "H", "O", "C", "C", "H", "H", "C", "H", "H", "C", "H", "H", "H", "H", "C", "C", "O", "O", "H", "H", "H"],
  "positions_angstrom": [[5.383, 0.624, -1.451], [5.895, -0.446, -2.349], [7.355, -0.189, -2.047], [5.567, -0.233, -3.387], [5.661, -1.466, -1.954], [6.843, 0.898, -1.116], [7.967, 0.097, -2.899], [7.744, -1.064, -1.525], [7.239, 2.307, -1.487], [7.113, 2.505, -2.555], [8.286, 2.470, -1.207], [6.653, 3.037, -0.923], [7.222, 0.578, 0.325], [7.147, -0.505, 0.505], [6.643, 1.150, 1.064], [8.281, 0.870, 0.448], [3.128, 0.980, -1.825], [-0.563, -0.672, 1.773], [-0.686, -1.727, 0.822], [0.598, -2.332, 0.673], [-1.603, -2.086, 0.355], [1.448, -1.794, 1.691], [0.777, -0.669, 2.255], [1.237, 0.056, 2.931], [-1.365, -0.015, 2.106], [0.881, -3.052, -0.101], [2.389, -2.236, 2.060], [-0.381, 2.412, 0.278], [0.709, 2.483, 1.196], [1.841, 3.019, 0.513], [0.683, 2.219, 2.254], [1.415, 3.409, -0.803], [0.042, 3.026, -0.942], [-0.567, 3.184, -1.839], [-1.365, 1.958, 0.455], [2.839, 3.173, 0.940], [2.001, 4.000, -1.526], [3.237, -1.685, -1.178], [4.051, -2.174, -0.089], [4.327, -3.643, -0.386], [3.550, -1.939, 0.844], [4.988, -1.611, -0.084], [4.272, -3.742, -1.919], [3.547, -4.307, 0.007], [5.281, -3.902, 0.082], [3.534, -2.483, -2.399], [3.635, -4.570, -2.251], [5.299, -3.840, -2.310], [2.554, -2.614, -2.893], [4.168, -1.862, -3.061], [-1.680, -0.251, -2.125], [-0.255, -0.485, -2.533], [-0.014, -1.435, -3.304], [0.707, 0.300, -2.103], [-2.153, 0.493, -2.775], [-1.837, 0.088, -1.104], [-2.298, -1.134, -2.297]],
  "mulliken_charge": [-0.29, -0.06, -1.09, 0.61, -0.30, 1.50, 0.34, 0.32, -1.73, 0.39, 0.42, 0.38, -1.63, 0.34, 0.36, 0.45, 1.24, -0.49, -1.23, 0.02, 0.53, -0.86, -0.62, 0.37, 0.54, 0.26, 0.90, -0.27, -0.71, -0.57, 0.54, -0.96, -0.48, 0.35, 0.43, 0.49, 0.48, -0.14, 0.63, -0.59, -0.12, -0.58, -0.56, 0.29, 0.38, -0.44, 0.36, 0.22, 0.39, 0.11, -1.00, 0.49, -0.75, -0.47, 0.34, 0.12, 0.34]
}

{
  "formula": "C21H31F5P2STi",
  "method": "ωB97M-V/def2-TZVPD",
  "s2": 2.01,
  "multiplicity": 3,
  "e_above_lowest_kcal_mol": 110.60,
  "largest_force_ev_per_a": 3.36,
  "species": ["P", "P", "C", "C", "H", "H", "H", "H", "C", "H", "H", "H", "C", "H", "H", "H", "C", "H", "H", "H", "C", "H", "H", "H", "Ti", "C", "C", "C", "C", "C", "C", "C", "C", "C", "H", "H", "H", "H", "H", "H", "H", "H", "H", "H", "H", "H", "H", "H", "H", "F", "C", "C", "F", "C", "F", "C", "S", "C", "F", "C", "F"],
=====

Reply:
{
  "formula": "C21H31EuO4",
  "method": "ωB97M-V/def2-TZVPD",
  "total_charge": -1,
  "s2": 15.76,
  "multiplicity": 8,
  "e_above_lowest_kcal_mol": 2.37,
  "largest_force_ev_per_a": 4.87,
  "species": ["O", "C", "C", "H", "H", "C", "H", "H", "C", "H", "H", "H", "C", "H", "H", "H", "Eu", "C", "C", "C", "H", "C", "C", "H", "H", "H", "H", "C", "C", "C", "H", "C", "C", "H", "H", "H", "H", "O", "C", "C", "H", "H", "C", "H", "H", "C", "H", "H", "H", "H", "C", "C", "O", "O", "H", "H", "H"],
  "positions_angstrom": [[5.383, 0.624, -1.451], [5.895, -0.446, -2.349], [7.355, -0.189, -2.047], [5.567, -0.233, -3.387], [5.661, -1.466, -1.954], [6.843, 0.898, -1.116], [7.967, 0.097, -2.899], [7.744, -1.064, -1.525], [7.239, 2.307, -1.487], [7.113, 2.505, -2.555], [8.286, 2.470, -1.207], [6.653, 3.037, -0.923], [7.222, 0.578, 0.325], [7.147, -0.505, 0.505], [6.643, 1.150, 1.064], [8.281, 0.870, 0.448], [3.128, 0.980, -1.825], [-0.563, -0.672, 1.773], [-0.686, -1.727, 0.822], [0.598, -2.332, 0.673], [-1.603, -2.086, 0.355], [1.448, -1.794, 1.691], [0.777, -0.669, 2.255], [1.237, 0.056, 2.931], [-1.365, -0.015, 2.106], [0.881, -3.052, -0.101], [2.389, -2.236, 2.060], [-0.381, 2.412, 0.278], [0.709, 2.483, 1.196], [1.841, 3.019, 0.513], [0.683, 2.219, 2.254], [1.415, 3.409, -0.803], [0.042, 3.026, -0.942], [-0.567, 3.184, -1.839], [-1.365, 1.958, 0.455], [2.839, 3.173, 0.940], [2.001, 4.000, -1.526], [3.237, -1.685, -1.178], [4.051, -2.174, -0.089], [4.327, -3.643, -0.386], [3.550, -1.939, 0.844], [4.988, -1.611, -0.084], [4.272, -3.742, -1.919], [3.547, -4.307, 0.007], [5.281, -3.902, 0.082], [3.534, -2.483, -2.399], [3.635, -4.570, -2.251], [5.299, -3.840, -2.310], [2.554, -2.614, -2.893], [4.168, -1.862, -3.061], [-1.680, -0.251, -2.125], [-0.255, -0.485, -2.533], [-0.014, -1.435, -3.304], [0.707, 0.300, -2.103], [-2.153, 0.493, -2.775], [-1.837, 0.088, -1.104], [-2.298, -1.134, -2.297]],
  "mulliken_charge": [-0.29, -0.06, -1.09, 0.61, -0.30, 1.50, 0.34, 0.32, -1.73, 0.39, 0.42, 0.38, -1.63, 0.34, 0.36, 0.45, 1.24, -0.49, -1.23, 0.02, 0.53, -0.86, -0.62, 0.37, 0.54, 0.26, 0.90, -0.27, -0.71, -0.57, 0.54, -0.96, -0.48, 0.35, 0.43, 0.49, 0.48, -0.14, 0.63, -0.59, -0.12, -0.58, -0.56, 0.29, 0.38, -0.44, 0.36, 0.22, 0.39, 0.11, -1.00, 0.49, -0.75, -0.47, 0.34, 0.12, 0.34]
}

{
  "formula": "C21H31F5P2STi",
  "method": "ωB97M-V/def2-TZVPD",
  "s2": 2.01,
  "multiplicity": 3,
  "e_above_lowest_kcal_mol": 110.60,
  "largest_force_ev_per_a": 3.36,
  "species": ["P", "P", "C", "C", "H", "H", "H", "H", "C", "H", "H", "H", "C", "H", "H", "H", "C", "H", "H", "H", "C", "H", "H", "H", "Ti", "C", "C", "C", "C", "C", "C", "C", "C", "C", "H", "H", "H", "H", "H", "H", "H", "H", "H", "H", "H", "H", "H", "H", "H", "F", "C", "C", "F", "C", "F", "C", "S", "C", "F", "C", "F"],